Material >
=====
Entry 1:
La4Au3: simulated powder diffractogram (Cu Kα (λ = 1.5418 Å)), based on a GGA-PBE-relaxed structure.
Peak positions follow from Bragg's law for the DFT cell and can differ from measured ones.

Most intense lines, 2θ from 10° to 80°, sorted by position:
| 2θ (°) | d_spacing | Rel. int. |
| --- | --- | --- |
| 19.8 | 4.486 | 14 |
| 25.8 | 3.456 | 13 |
| 33.4 | 2.682 | 99 |
| 34.1 | 2.628 | 100 |
| 46.3 | 1.962 | 11 |
| 48.5 | 1.877 | 35 |
| 59.3 | 1.559 | 16 |
| 60.6 | 1.527 | 36 |
| 61.1 | 1.517 | 19 |
| 71.8 | 1.314 | 12 |

Atomic structure:
```
La4Au3
1.0
2.6279 1.5172 8.8526
-2.6279 1.5172 8.8526
0.0000 -3.0344 8.8526
La Au
4 3
Cartesian
0.0000 0.0000 3.2868 La
0.0000 0.0000 9.9420 La
0.0000 0.0000 16.6159 La
0.0000 0.0000 23.2711 La
0.0000 0.0000 0.0000 Au
0.0000 0.0000 6.4099 Au
0.0000 0.0000 20.1480 Au
```

***

Entry 2:
PmSmGaNi: simulated powder diffractogram (Cu Kα (λ = 1.5418 Å)), based on a GGA-PBE-relaxed structure.
Peak positions follow from Bragg's law for the DFT cell and can differ from measured ones.

Most intense lines, 2θ from 10° to 80°, sorted by position:
| 2θ (°) | d_spacing | Rel. int. |
| --- | --- | --- |
| 25.8 | 3.457 | 39 |
| 31.9 | 2.807 | 25 |
| 32.0 | 2.795 | 100 |
| 33.5 | 2.677 | 52 |
| 38.1 | 2.365 | 24 |
| 39.4 | 2.286 | 52 |
| 41.1 | 2.194 | 30 |
| 47.5 | 1.916 | 19 |
| 54.0 | 1.697 | 27 |
| 77.9 | 1.227 | 17 |

Atomic structure:
```
PmSmGaNi
1.0
4.3880 0.0000 0.0000
0.0000 3.8315 0.0000
0.0000 0.0000 11.2288
Pm Sm Ga Ni
2 2 2 2
Cartesian
0.0000 0.0000 0.0000 Pm
0.0000 1.9158 5.6144 Pm
2.1940 0.0000 8.0801 Sm
2.1940 1.9158 2.4657 Sm
2.1940 0.0000 4.8083 Ga
2.1940 1.9158 10.4227 Ga
0.0000 0.0000 3.3532 Ni
0.0000 1.9158 8.9676 Ni
```

***

Entry 3:
TmIO: simulated powder diffractogram (Cu Kα (λ = 1.5418 Å)), based on a GGA-PBE-relaxed structure.
Peak positions follow from Bragg's law for the DFT cell and can differ from measured ones.

Most intense lines, 2θ from 10° to 80°, sorted by position:
| 2θ (°) | d_spacing | Rel. int. |
| --- | --- | --- |
| 23.0 | 3.869 | 100 |
| 28.3 | 3.153 | 80 |
| 32.6 | 2.748 | 54 |
| 34.1 | 2.633 | 45 |
| 35.8 | 2.511 | 32 |
| 40.1 | 2.248 | 32 |
| 40.6 | 2.223 | 24 |
| 46.6 | 1.950 | 31 |
| 52.5 | 1.742 | 21 |
| 52.8 | 1.733 | 28 |

Atomic structure:
```
TmIO
1.0
3.9032 0.0000 0.0000
0.0000 4.1500 0.0000
0.0000 0.0000 10.6965
Tm I O
2 2 2
Cartesian
0.9758 1.0375 0.9828 Tm
2.9274 3.1125 9.7137 Tm
0.9758 3.1125 7.4105 I
2.9274 1.0375 3.2860 I
0.9758 3.1125 0.1958 O
2.9274 1.0375 10.5008 O
```

***

Entry 4:
SmHfHg: simulated powder diffractogram (Cu Kα (λ = 1.5418 Å)), based on a GGA-PBE-relaxed structure.
Peak positions follow from Bragg's law for the DFT cell and can differ from measured ones.

Most intense lines, 2θ from 10° to 80°, sorted by position:
| 2θ (°) | d_spacing | Rel. int. |
| --- | --- | --- |
| 32.4 | 2.759 | 65 |
| 35.0 | 2.564 | 100 |
| 46.5 | 1.951 | 24 |
| 53.9 | 1.701 | 6 |
| 59.5 | 1.553 | 44 |
| 64.4 | 1.448 | 15 |
| 67.9 | 1.380 | 8 |
| 73.9 | 1.282 | 10 |
| 77.3 | 1.234 | 11 |
| 78.8 | 1.215 | 10 |

Atomic structure:
```
SmHfHg
1.0
3.9020 0.0000 0.0000
0.0000 3.9020 0.0000
0.0000 0.0000 10.2036
Sm Hf Hg
2 2 2
Cartesian
0.9755 0.9755 2.4927 Sm
2.9265 2.9265 7.7109 Sm
0.9755 0.9755 5.7334 Hf
2.9265 2.9265 4.4702 Hf
0.9755 0.9755 9.3412 Hg
2.9265 2.9265 0.8624 Hg
```

***

Entry 5:
Na2Ta3Cl9: simulated powder diffractogram (Cu Kα (λ = 1.5418 Å)), based on a GGA-PBE-relaxed structure.
Peak positions follow from Bragg's law for the DFT cell and can differ from measured ones.

Most intense lines, 2θ from 10° to 80°, sorted by position:
| 2θ (°) | d_spacing | Rel. int. |
| --- | --- | --- |
| 10.2 | 8.708 | 77 |
| 10.8 | 8.159 | 64 |
| 11.4 | 7.776 | 100 |
| 12.3 | 7.171 | 73 |
| 14.9 | 5.954 | 29 |
| 34.1 | 2.626 | 34 |
| 38.2 | 2.357 | 26 |
| 40.3 | 2.237 | 21 |
| 40.8 | 2.209 | 15 |
| 42.4 | 2.132 | 16 |

Atomic structure:
```
Na2Ta3Cl9
1.0
4.8158 -8.1588 0.0000
4.8158 8.1588 0.0000
-3.7551 0.0000 8.7082
Na Ta Cl
4 6 18
Cartesian
=====

Request >
Please type out only the lines above with the word "Tm" in them.

Done >
Tm I O
0.9758 1.0375 0.9828 Tm
2.9274 3.1125 9.7137 Tm